Excerpt =
=====
[1]
Here is a PBEsol-optimized structure of SbPdWI2 from Alexandria. Energies are from meta-GGA SCAN.

## Properties
ΔE_f (raw): 1.44 eV/atom
uncorrected energy: -1.51408 Ha/atom
mass density: 7757 kg/m³

```
data_SbPdWI2
_symmetry_space_group_name_H-M 'P 1'
_symmetry_Int_Tables_number 1
_symmetry_space_group_name_Hall 'P 1'
_cell_length_a 5.213
_cell_length_b 5.213
_cell_length_c 5.246
_cell_angle_alpha 90.00
_cell_angle_beta 90.00
_cell_angle_gamma 90.00
loop_
_atom_site_label
_atom_site_type_symbol
_atom_site_fract_x
_atom_site_fract_y
_atom_site_fract_z
I1 I 0.000 0.500 0.000
I2 I 0.500 0.000 0.000
Sb1 Sb 0.000 0.000 0.500
Pd1 Pd 0.000 0.000 0.000
W1 W 0.500 0.500 0.500
```

[2]
Here is a PBEsol-optimized structure of Sb2PdWI from Alexandria. Energies are from meta-GGA SCAN.

## Properties
ΔE_f (raw): 0.85 eV/atom
uncorrected energy: -1.53947 Ha/atom
mass density: 8168 kg/m³

```
data_Sb2PdWI
_symmetry_space_group_name_H-M 'P 1'
_symmetry_Int_Tables_number 1
_symmetry_space_group_name_Hall 'P 1'
_cell_length_a 5.000
_cell_length_b 5.183
_cell_length_c 5.183
_cell_angle_alpha 90.00
_cell_angle_beta 90.00
_cell_angle_gamma 90.00
loop_
_atom_site_label
_atom_site_type_symbol
_atom_site_fract_x
_atom_site_fract_y
_atom_site_fract_z
I1 I 0.500 0.500 0.500
Sb1 Sb 0.000 0.000 0.500
Sb2 Sb 0.000 0.500 0.000
Pd1 Pd 0.500 0.000 0.000
W1 W 0.000 0.000 0.000
```

[3]
Here is a PBEsol-optimized structure of ZnSbPdI2 from Alexandria. Energies are from meta-GGA SCAN.

## Properties
ΔE_f (raw): 0.69 eV/atom
uncorrected energy: -1.12867 Ha/atom
mass density: 6181 kg/m³

```
data_ZnSbPdI2
_symmetry_space_group_name_H-M 'P 1'
_symmetry_Int_Tables_number 1
_symmetry_space_group_name_Hall 'P 1'
_cell_length_a 5.098
_cell_length_b 5.371
_cell_length_c 5.371
_cell_angle_alpha 90.00
_cell_angle_beta 90.00
_cell_angle_gamma 90.00
loop_
_atom_site_label
_atom_site_type_symbol
_atom_site_fract_x
_atom_site_fract_y
_atom_site_fract_z
I1 I 0.000 0.000 0.500
I2 I 0.000 0.500 0.000
Sb1 Sb 0.500 0.000 0.000
Zn1 Zn 0.000 0.000 0.000
Pd1 Pd 0.500 0.500 0.500
```

[4]
Here is a PBEsol-optimized structure of ZrSbPdI2 from Alexandria. Energies are from meta-GGA SCAN.

## Properties
ΔE_f (raw): 0.37 eV/atom
uncorrected energy: -1.26693 Ha/atom
mass density: 5619 kg/m³

```
data_ZrSbPdI2
_symmetry_space_group_name_H-M 'P 1'
_symmetry_Int_Tables_number 1
_symmetry_space_group_name_Hall 'P 1'
_cell_length_a 5.507
_cell_length_b 5.507
_cell_length_c 5.586
_cell_angle_alpha 90.00
_cell_angle_beta 90.00
_cell_angle_gamma 90.00
loop_
_atom_site_label
_atom_site_type_symbol
_atom_site_fract_x
_atom_site_fract_y
_atom_site_fract_z
I1 I 0.000 0.500 0.000
I2 I 0.500 0.000 0.000
Sb1 Sb 0.000 0.000 0.500
Zr1 Zr 0.000 0.000 0.000
Pd1 Pd 0.500 0.500 0.500
```

[5]
Here is a PBEsol-optimized structure of ScSi2PdI from Alexandria. Energies are from meta-GGA SCAN.

## Properties
ΔE_f (raw): 0.90 eV/atom
uncorrected energy: -0.72973 Ha/atom
mass density: 4363 kg/m³

```
data_ScSi2PdI
_symmetry_space_group_name_H-M 'P 1'
_symmetry_Int_Tables_number 1
_symmetry_space_group_name_Hall 'P 1'
_cell_length_a 4.799
_cell_length_b 5.150
_cell_length_c 5.150
_cell_angle_alpha 90.00
_cell_angle_beta 90.00
_cell_angle_gamma 90.00
loop_
_atom_site_label
_atom_site_type_symbol
_atom_site_fract_x
_atom_site_fract_y
_atom_site_fract_z
I1 I 0.500 0.500 0.500
Sc1 Sc 0.000 0.000 0.000
Si1 Si 0.000 0.000 0.500
Si2 Si 0.000 0.500 0.000
Pd1 Pd 0.500 0.000 0.000
```

[6]
Here is a PBEsol-optimized structure of Pd3SeI from Alexandria. Energies are from meta-GGA SCAN.

## Properties
ΔE_f (raw): 0.19 eV/atom
uncorrected energy: -1.13333 Ha/atom
mass density: 8263 kg/m³

```
data_Pd3SeI
_symmetry_space_group_name_H-M 'P 1'
_symmetry_Int_Tables_number 1
_symmetry_space_group_name_Hall 'P 1'
_cell_length_a 4.726
_cell_length_b 4.726
_cell_length_c 4.726
_cell_angle_alpha 90.00
_cell_angle_beta 90.00
_cell_angle_gamma 90.00
loop_
_atom_site_label
_atom_site_type_symbol
_atom_site_fract_x
_atom_site_fract_y
=====

Job =
Now transcribe the notes further up exactly.

Done =
[1]
Here is a PBEsol-optimized structure of SbPdWI2 from Alexandria. Energies are from meta-GGA SCAN.

## Properties
ΔE_f (raw): 1.44 eV/atom
uncorrected energy: -1.51408 Ha/atom
mass density: 7757 kg/m³

```
data_SbPdWI2
_symmetry_space_group_name_H-M 'P 1'
_symmetry_Int_Tables_number 1
_symmetry_space_group_name_Hall 'P 1'
_cell_length_a 5.213
_cell_length_b 5.213
_cell_length_c 5.246
_cell_angle_alpha 90.00
_cell_angle_beta 90.00
_cell_angle_gamma 90.00
loop_
_atom_site_label
_atom_site_type_symbol
_atom_site_fract_x
_atom_site_fract_y
_atom_site_fract_z
I1 I 0.000 0.500 0.000
I2 I 0.500 0.000 0.000
Sb1 Sb 0.000 0.000 0.500
Pd1 Pd 0.000 0.000 0.000
W1 W 0.500 0.500 0.500
```

[2]
Here is a PBEsol-optimized structure of Sb2PdWI from Alexandria. Energies are from meta-GGA SCAN.

## Properties
ΔE_f (raw): 0.85 eV/atom
uncorrected energy: -1.53947 Ha/atom
mass density: 8168 kg/m³

```
data_Sb2PdWI
_symmetry_space_group_name_H-M 'P 1'
_symmetry_Int_Tables_number 1
_symmetry_space_group_name_Hall 'P 1'
_cell_length_a 5.000
_cell_length_b 5.183
_cell_length_c 5.183
_cell_angle_alpha 90.00
_cell_angle_beta 90.00
_cell_angle_gamma 90.00
loop_
_atom_site_label
_atom_site_type_symbol
_atom_site_fract_x
_atom_site_fract_y
_atom_site_fract_z
I1 I 0.500 0.500 0.500
Sb1 Sb 0.000 0.000 0.500
Sb2 Sb 0.000 0.500 0.000
Pd1 Pd 0.500 0.000 0.000
W1 W 0.000 0.000 0.000
```

[3]
Here is a PBEsol-optimized structure of ZnSbPdI2 from Alexandria. Energies are from meta-GGA SCAN.

## Properties
ΔE_f (raw): 0.69 eV/atom
uncorrected energy: -1.12867 Ha/atom
mass density: 6181 kg/m³

```
data_ZnSbPdI2
_symmetry_space_group_name_H-M 'P 1'
_symmetry_Int_Tables_number 1
_symmetry_space_group_name_Hall 'P 1'
_cell_length_a 5.098
_cell_length_b 5.371
_cell_length_c 5.371
_cell_angle_alpha 90.00
_cell_angle_beta 90.00
_cell_angle_gamma 90.00
loop_
_atom_site_label
_atom_site_type_symbol
_atom_site_fract_x
_atom_site_fract_y
_atom_site_fract_z
I1 I 0.000 0.000 0.500
I2 I 0.000 0.500 0.000
Sb1 Sb 0.500 0.000 0.000
Zn1 Zn 0.000 0.000 0.000
Pd1 Pd 0.500 0.500 0.500
```

[4]
Here is a PBEsol-optimized structure of ZrSbPdI2 from Alexandria. Energies are from meta-GGA SCAN.

## Properties
ΔE_f (raw): 0.37 eV/atom
uncorrected energy: -1.26693 Ha/atom
mass density: 5619 kg/m³

```
data_ZrSbPdI2
_symmetry_space_group_name_H-M 'P 1'
_symmetry_Int_Tables_number 1
_symmetry_space_group_name_Hall 'P 1'
_cell_length_a 5.507
_cell_length_b 5.507
_cell_length_c 5.586
_cell_angle_alpha 90.00
_cell_angle_beta 90.00
_cell_angle_gamma 90.00
loop_
_atom_site_label
_atom_site_type_symbol
_atom_site_fract_x
_atom_site_fract_y
_atom_site_fract_z
I1 I 0.000 0.500 0.000
I2 I 0.500 0.000 0.000
Sb1 Sb 0.000 0.000 0.500
Zr1 Zr 0.000 0.000 0.000
Pd1 Pd 0.500 0.500 0.500
```

[5]
Here is a PBEsol-optimized structure of ScSi2PdI from Alexandria. Energies are from meta-GGA SCAN.

## Properties
ΔE_f (raw): 0.90 eV/atom
uncorrected energy: -0.72973 Ha/atom
mass density: 4363 kg/m³

```
data_ScSi2PdI
_symmetry_space_group_name_H-M 'P 1'
_symmetry_Int_Tables_number 1
_symmetry_space_group_name_Hall 'P 1'
_cell_length_a 4.799
_cell_length_b 5.150
_cell_length_c 5.150
_cell_angle_alpha 90.00
_cell_angle_beta 90.00
_cell_angle_gamma 90.00
loop_
_atom_site_label
_atom_site_type_symbol
_atom_site_fract_x
_atom_site_fract_y
_atom_site_fract_z
I1 I 0.500 0.500 0.500
Sc1 Sc 0.000 0.000 0.000
Si1 Si 0.000 0.000 0.500
Si2 Si 0.000 0.500 0.000
Pd1 Pd 0.500 0.000 0.000
```

[6]
Here is a PBEsol-optimized structure of Pd3SeI from Alexandria. Energies are from meta-GGA SCAN.

## Properties
ΔE_f (raw): 0.19 eV/atom
uncorrected energy: -1.13333 Ha/atom
mass density: 8263 kg/m³

```
data_Pd3SeI
_symmetry_space_group_name_H-M 'P 1'
_symmetry_Int_Tables_number 1
_symmetry_space_group_name_Hall 'P 1'
_cell_length_a 4.726
_cell_length_b 4.726
_cell_length_c 4.726
_cell_angle_alpha 90.00
_cell_angle_beta 90.00
_cell_angle_gamma 90.00
loop_
_atom_site_label
_atom_site_type_symbol
_atom_site_fract_x
_atom_site_fract_y